*Disclaimer: do I really need to do this everytime? In case I do, I do not own Naruto. Wish I did but I don't.

*Author's Note: thankiez to all who have reviewed for all of my stories.

Sakura's POV:

As my fever was slowly coming down I turned to see Orochimaru looking at me with fear and hatred. Looking around I realized that Saki had taken over. (A/N: she is Sakura's inner, refer to chapter seven). So now Saki was my outer, and I being her inner. I sat down in a chair that had mysteriously appeared and began to watch the show.

Saki's POV:

After finally taking over after being trapped in my master's body for so long without freedom I grinned wickedly. My master's long pink hair was now a dangerous shade of red with pink streaks, her usual emerald eyes were now my normal silverish purple color. Once being let out, temporarily, I remembered the mission at hand. Kill Orochimaru, kille Kabuto, make sure that the Sound doesn't attack Konoha, and make sure that the twin warriors come in to help clean up the mess.

"Ne, Ro-teme, did you miss me?"

I hopped off the bed, noticing how the medic nins coward into the corner. I saw my master's adoptive father looking at us with shock and...a look of...awe.

"W-who are you?" Kabuto croaked out. He was trembling in fear at my presence.

"I am Saki, the demon that causes massive distruction, yet can heal every wound that has been inflicted. May it be a wound on a human's body, or the damage that has been done to the earth and village. I can kill many with only a look, but I prefer to use my hands." I grinned, showing off my canines.

"Wh-what happened to Sakura-chan?" the boy my master says is Naruto spoke up.

"She is resting, it takes a lot of energy to keep me out this long, although I do not plan on hurting the villagers of Konoha, I can not guarantee that none will be injured. Since we are in this building and the next team that comes won't be here for another two hours or so I will leave this place with as little damage as possible." my silky voice rung in the air, my words sinking into their registering brains. Or in Naruto's case, trying to.

'Saki, hurry up, I'm losing chakra fast!' Sakura thought to me.

Misplaced records of crystals.
'''
1.
# Ba9La9Cu9Ru9O46

A geometry-optimized Ba9La9Cu9Ru9O46 structure (GGA-PBE, the Materials Project database).

DFT total energy: -6.76 eV/atom
Energy of formation: -2.15 eV per atom
Magnetization: 12.2 μB/cell

Geometry as extended XYZ:
```
82
Lattice="5.571 0.000 0.000 -0.046 5.594 0.000 -2.140 -1.703 37.473" Properties=species:S:1:pos:R:3 pbc="T T T"
Ba 0.000 0.000 0.000
Ba 0.098 0.271 4.352
Ba 0.324 0.557 16.931
Ba 0.451 0.772 25.120
Ba 0.625 1.087 37.456
Ba 2.985 2.947 4.339
Ba 2.991 3.276 12.754
Ba 3.151 3.467 21.081
Ba 3.304 3.596 29.325
La 0.353 0.450 8.520
La 0.231 0.512 13.052
La 0.392 0.685 21.330
La 0.586 0.733 28.725
La 0.686 1.029 33.534
La 3.142 3.267 8.410
La 3.096 3.383 17.252
La 3.267 3.619 25.617
La 3.368 3.892 33.571
Cu 0.257 3.160 6.505
Cu 0.270 3.292 14.940
Cu 0.391 3.504 23.237
Cu 0.472 3.586 27.172
Cu 2.891 0.130 2.130
Cu 3.057 0.418 10.614
Cu 3.141 0.592 19.101
Cu 3.294 0.813 27.265
Cu 3.474 1.125 35.442
Ru 0.167 3.010 2.064
Ru 0.267 3.204 10.586
Ru 0.332 3.382 18.997
Ru 0.643 3.901 31.564
Ru 0.561 3.821 35.493
Ru 2.983 0.287 6.456
Ru 3.073 0.474 14.776
Ru 3.202 0.701 23.127
Ru 3.271 0.910 31.551
O -1.116 4.702 18.812
O -1.087 2.036 18.796
O -0.938 -0.640 22.963
O -0.937 2.023 22.932
O 0.032 2.960 8.612
O -0.916 -0.588 27.288
O -0.921 2.190 27.337
O -1.077 2.138 32.285
O 0.079 2.933 12.439
O -0.852 -0.453 31.721
O -0.750 -0.166 35.140
O 0.360 3.368 16.939
O 1.353 4.234 2.721
O 0.361 3.424 20.911
O 1.513 1.471 2.221
O 0.361 3.559 25.170
O 1.544 1.752 6.548
O 1.388 1.588 10.428
O 1.624 4.428 10.259
O 0.546 3.869 29.641
O 0.444 3.690 33.545
O 1.598 4.728 14.513
O 1.634 1.801 14.602
O 1.755 2.030 18.835
O 1.753 4.720 18.817
O 2.780 0.054 4.594
O 1.777 -0.638 22.949
O 1.755 2.013 22.942
O 2.893 0.258 8.534
O 1.929 -0.594 27.233
O 1.926 2.210 27.261
O 1.924 2.394 31.741
O 3.198 0.513 12.577
O 3.084 0.425 16.679
O 2.016 -0.350 35.336
O 2.171 2.461 35.148
O 4.188 4.352 2.214
O 3.218 0.668 21.084
O 2.940 0.720 29.667
O 3.244 0.720 25.044
O 4.336 1.606 6.836
O 4.339 4.378 6.547
O 4.411 4.545 10.336
O 4.443 4.710 14.590
O 4.484 1.823 14.669
O 5.386 2.627 0.243
```



2.
# Ba2La2Ti2Cu2O11

A geometry-optimized Ba2La2Ti2Cu2O11 structure (GGA-PBE, the Materials Project database).

DFT total energy: -7.51 eV/atom
Energy of formation: -3.06 eV per atom
Magnetization: 0.0 μB/cell

Geometry as extended XYZ:
```
19
Lattice="3.961 0.000 0.000 0.000 3.961 0.000 0.000 0.000 16.024" Properties=species:S:1:pos:R:3 pbc="T T T"
Ba 0.000 0.000 3.755
Ba 0.000 0.000 12.269
La 0.000 0.000 0.000
La 0.000 0.000 8.012
Ti 1.980 1.980 5.978
Ti 1.980 1.980 10.046
Cu 1.980 1.980 1.777
Cu 1.980 1.980 14.247
O 0.000 1.980 1.580
O 0.000 1.980 6.173
O 0.000 1.980 9.851
O 0.000 1.980 14.444
O 1.980 0.000 1.580
O 1.980 0.000 6.173
O 1.980 0.000 9.851
O 1.980 0.000 14.444
O 1.980 1.980 4.117
O 1.980 1.980 8.012
O 1.980 1.980 11.907
```



3.
# Ba2LaTlCu2O7

A geometry-optimized Ba2LaTlCu2O7 structure (GGA-PBE, the Materials Project database).
'''


"Now, let's get this over with. I'm getting weaker by every minute passing."

I lunged towards Orochimaru who had dodged easily. Smirking he wraps his outstretched neck around my master's body, which I was currently borrowing. I summoned one of my powers and hit him at one point in his neck. I took out several kunais, shurikens, and senbons from Sakura-sama's weapon pouches and threw them at Orochimaru.

-Skip after the battle- [Sorry, I'm horrible at fighting scenes ^_^']

Orochimaru lay on the ground, dead. I looked up at the boy who helped me, Shikamaru I believed was his name.

"Thank you shadow user of the Nara clan. I am grateful for your service in helping---"

Sakura's POV:

I gained control of my body at that moment. But once I had full control I collapsed into Shimakaru's outstretched arms.

"A-arigato." I managed a small smile before I fell into the darkness that surrounded, protectively, over my conscience.

Author's POV:

Two pops were heard as both Ai and Sukai arrived. Looking around at the forest that was damaged they turned their gaze to the building. The part that the group used to be in was demolished. The forest though, was in worse shape.

"Great! As always we are left with the cleaning part of the mission!" Ai yelled to no one in particular.

A soft hand placed itself on Ai's shoulder, calming her down almost instantly.

"Ai-sama, calm down, Orochimaru's gone now." Sukai's soothing voice calmed everybody's nerves. Her words were being registered and the nins realized that Orochimaru was indeed gone.

"Sakura-san." Sukai said. "How are you feeling?"

"Good, except for the part where I was touched by a slimy snake. I used to think snakes were cool but this dude just ruined it." she said, trying to lighten up the mood.

Sukai smiled and glanced at her sister. Ai got the hidden message and she began cleaning part of the mess.

"Congratulations on completing your mission Sakura-san, Tsunade-san will be pleased to hear of you accomplishment. Now, do you want to return to your time, or, would you like to stay in this time?"

"I have a feeling she'll chose number two." Sukai glared at Ai who just shrugged. "Just voicing my thoughts."

Sukai rolled her eyes and returned her attention to Sakura.

"I guess..." she glanced at the people of Konoha, the sand siblings unaware of the fight.

"I'll stay. I think I will be better off this way." Sakura smiled.

"Very well."

## Inserted here: data records
<<<
(1)
Here is a relaxed structure of Ga2Ru from the Materials Project database. Energies are from PBE.

Lattice parameters (Å, degrees): 4.7825 8.2845 8.7818 90.00 90.00 90.00
Last column: nearest neighbours and their distance in Å.
Space group Fddd (No. 70, origin choice 2)
Unique sites:
Ga1 0.1250 0.2938 0.1250 (multiplicity 16)  5 Ru 2.59-2.77, 5 Ga 2.60-2.80
Ru1 0.1250 0.1250 0.6250 (multiplicity 8)  10 Ga 2.59-2.77

The theoretical density comes out at 9.18 g cm⁻³. The calculation puts the total energy at -5.5236 eV per atom. Its crystal system is orthorhombic. The value obtained for the energy of formation from the pure elements is -0.4134 eV/atom.

---

(2)
Here is a relaxed structure of Ga3Ru from the Materials Project database. Energies are from PBE.

Lattice parameters (Å, degrees): 6.5270 6.5270 6.8065 90.00 90.00 90.00
Last column: nearest neighbours and their distance in Å.
Space group P4_2/mnm (No. 136)
Unique sites:
Ga1 0.0000 0.5000 0.0000 (multiplicity 4)  2 Ru 2.45
Ga2 0.1550 0.1550 0.2354 (multiplicity 8)  3 Ru 2.49-2.60
Ru1 0.1594 0.8406 0.0000 (multiplicity 4)  8 Ga 2.45-2.60

The theoretical density comes out at 7.11 g cm⁻³. The calculation puts the total energy at -4.9768 eV per atom. Its crystal system is tetragonal. The value obtained for the energy of formation from the pure elements is -0.3871 eV/atom.

---

(3)
Here is a relaxed structure of ScGa2Ru from the Materials Project database. Energies are from PBE.

Lattice parameters (Å, degrees): 6.3141 6.3141 6.3141 90.00 90.00 90.00
Last column: nearest neighbours and their distance in Å.
Space group Fm-3m (No. 225)
Unique sites:
Sc1 0.0000 0.0000 0.0000 (multiplicity 4)  8 Ga 2.73
Ga1 0.2500 0.2500 0.2500 (multiplicity 8)  4 Ru 2.73, 4 Sc 2.73
Ru1 0.0000 0.0000 0.5000 (multiplicity 4)  8 Ga 2.73

The theoretical density comes out at 7.53 g cm⁻³. The calculation puts the total energy at -5.9406 eV per atom. Its crystal system is cubic. The value obtained for the energy of formation from the pure elements is -0.5248 eV/atom.

=====

Below is crystalline TmB2 at its relaxed geometry, with properties calculated at the meta-GGA r2SCAN level.

## Properties
ΔE_f, meV/atom: -735

```
data_TmB2
_chemical_formula_sum 'Tm1 B2'
_symmetry_space_group_name_H-M 'P 6/m m m'
_symmetry_Int_Tables_number 191
_symmetry_space_group_name_Hall '-P 6 2'
_cell_length_a 3.2595
_cell_length_b 3.2595
_cell_length_c 3.7582
_cell_angle_alpha 90.00
_cell_angle_beta 90.00
_cell_angle_gamma 120.00
loop_
_atom_site_label
_atom_site_type_symbol
_atom_site_fract_x
_atom_site_fract_y
_atom_site_fract_z
Tm1 Tm 0.0000 0.0000 0.0000
B1 B 0.3333 0.6667 0.5000
```

=====

DFT (GGA-PBE) results for crystalline PrHoTl2 at its relaxed geometry.

abc: 5.462 5.462 5.462
angles: 60.00 60.00 60.00
Fractional coordinates of all 4 atoms:
Pr 0.000 0.000 0.000
Ho 0.500 0.500 0.500
Tl 0.250 0.250 0.250
Tl 0.750 0.750 0.750

Output
>>>

"Told ya."


"Yes, little sister?"

"Shut it."

"You have chosen your path. Good luck and have a better life this time Sakura-san."

After the mess was cleaned up Sukai and Ai left in a burst of light.

"So, what do we do with Orochimaru's body?" Sakura asked, twiddling her fingers and not looking anyone in the eye.

"We shall destroy it, just in case any of his followers decide to revive him." the Third Hokage said.

-Skip to the next day-


The pinketter looked to her right to see Shikamaru. She blushed when she noticed how close he was to her.


"Are you really from the future?"

"Yeah, but my present, the future, was horrible. I was given a mission to come back in time to fix it the best I could. Now that my mission is over I can start a new."

Shikamaru noticed the small smile that adorned the girl's face. Without thinking he took her chin and lifted it so she faced him, slowly he captured her lips with his. She melted into the kiss and they pulled away, both blushing a wonderful shade of pink and red.



"Are we together?" Sakura asked.

"If you want."

"I'd like that, oh and Shikamaru?"


"It's your turn to fight now."

Sakura pushed him over the railing and giggled. Shikamaru landed on his feet and glared at his pink haired girlfriend.


"Love ya too ya lazy bum!"

Author's note: I hope you have enjoyed this story. I'm sorry to say that this is the last chapter of The Other Demon Holder. Thank you for reading and reviewing. I am planning on writing a Harry Potter and Naruto crossover, tell me if you think I should, I promise you that it will be longer than eight chapters ^_^ Thanks again.